The reader should transcribe the whole of the entries further down without altering anything.

........
[1]
Simulated powder diffractogram of CeH4 for copper Kα, from a PBE-relaxed structure.

Structural model:
abc: 3.7425 3.7425 3.7425
angles: 104.97 104.97 118.90
Element x y z (fractional)
Ce 0.0000 0.0000 0.0000
H 0.2087 0.4883 0.6970
H 0.4883 0.7913 0.2796
H 0.5117 0.2087 0.7204
H 0.7913 0.5117 0.3030

Principal peaks in the range 2θ = 10–90°, by angle:
- d = 3.223 Å, 27.68°, I 66
- d = 2.921 Å, 30.61°, I 100
- d = 2.279 Å, 39.54°, I 26
- d = 1.902 Å, 47.82°, I 8
- d = 1.797 Å, 50.82°, I 52
- d = 1.638 Å, 56.15°, I 18
- d = 1.612 Å, 57.16°, I 8
- d = 1.460 Å, 63.73°, I 13
- d = 1.441 Å, 64.67°, I 12
- d = 1.411 Å, 66.24°, I 11
- d = 1.200 Å, 79.97°, I 13
- d = 1.149 Å, 84.30°, I 12

[2]
Simulated powder diffractogram of K2NaO8 for copper Kα, from a PBE-relaxed structure.

Structural model:
abc: 4.7117 5.1942 8.2766
angles: 71.78 74.79 87.00
Element x y z (fractional)
K 0.1555 0.1391 0.2212
K 0.8445 0.8609 0.7788
Na 0.5000 0.5000 0.5000
O 0.0434 0.5584 0.4128
O 0.3207 0.4662 0.8697
O 0.3458 0.2366 0.8332
O 0.3751 0.9284 0.5209
O 0.6249 0.0716 0.4791
O 0.6542 0.7634 0.1668
O 0.6793 0.5338 0.1303
O 0.9566 0.4416 0.5872

Principal peaks in the range 2θ = 10–90°, by angle:
- d = 7.593 Å, 11.65°, I 52
- d = 3.576 Å, 24.90°, I 86
- d = 3.397 Å, 26.23°, I 51
- d = 3.124 Å, 28.57°, I 43
- d = 2.659 Å, 33.70°, I 32
- d = 2.601 Å, 34.48°, I 40
- d = 2.593 Å, 34.59°, I 85
- d = 2.554 Å, 35.14°, I 59
- d = 2.531 Å, 35.47°, I 70
- d = 2.505 Å, 35.84°, I 92
- d = 2.351 Å, 38.29°, I 100
- d = 2.039 Å, 44.43°, I 34

[3]
Simulated powder diffractogram of BaScOsO6 for copper Kα, from a PBE-relaxed structure.

Structural model:
abc: 5.3985 5.3985 5.7310
angles: 90.00 90.00 120.00
Element x y z (fractional)
Ba 0.0000 0.0000 0.0000
Sc 0.3333 0.6667 0.5000
Os 0.6667 0.3333 0.5000
O 0.3961 0.0273 0.6909
O 0.3961 0.3688 0.3091
O 0.6312 0.0273 0.3091
O 0.6312 0.6039 0.6909
O 0.9727 0.3688 0.6909
O 0.9727 0.6039 0.3091

Principal peaks in the range 2θ = 10–90°, by angle:
- d = 5.731 Å, 15.46°, I 12
- d = 4.675 Å, 18.98°, I 20
- d = 3.623 Å, 24.57°, I 100
- d = 2.699 Å, 33.19°, I 29
- d = 2.443 Å, 36.80°, I 11
- d = 2.164 Å, 41.73°, I 21
- d = 1.965 Å, 46.20°, I 36
- d = 1.768 Å, 51.70°, I 14
- d = 1.689 Å, 54.33°, I 22
- d = 1.559 Å, 59.29°, I 11
- d = 1.297 Å, 72.93°, I 11
- d = 1.265 Å, 75.09°, I 16

[4]
Simulated powder diffractogram of KMg7Tl12 for copper Kα, from a PBE-relaxed structure.

Structural model:
abc: 9.5177 9.5177 9.5177
angles: 109.47 109.47 109.47
Element x y z (fractional)
K 0.0000 0.0000 0.0000
Mg 0.0000 0.0000 0.5000
Mg 0.0000 0.5000 0.0000
Mg 0.0000 0.5000 0.5000
Mg 0.5000 0.0000 0.0000
Mg 0.5000 0.0000 0.5000
Mg 0.5000 0.5000 0.0000
Mg 0.5000 0.5000 0.5000
Tl 0.1086 0.7631 0.3456
Tl 0.2369 0.3456 0.5825
Tl 0.2369 0.6544 0.8914
Tl 0.3456 0.1086 0.7631
Tl 0.3456 0.5825 0.2369
Tl 0.4175 0.7631 0.6544
Tl 0.5825 0.2369 0.3456
Tl 0.6544 0.4175 0.7631
Tl 0.6544 0.8914 0.2369
Tl 0.7631 0.3456 0.1086
Tl 0.7631 0.6544 0.4175
Tl 0.8914 0.2369 0.6544

Principal peaks in the range 2θ = 10–90°, by angle:
- d = 7.771 Å, 11.39°, I 68
- d = 4.487 Å, 19.79°, I 39
- d = 3.886 Å, 22.89°, I 27
- d = 3.475 Å, 25.63°, I 82
- d = 2.937 Å, 30.43°, I 68
- d = 2.457 Å, 36.57°, I 100
- d = 2.343 Å, 38.42°, I 35
- d = 2.243 Å, 40.20°, I 27
- d = 2.155 Å, 41.92°, I 26
- d = 1.885 Å, 48.29°, I 28
- d = 1.524 Å, 60.77°, I 27
- d = 1.469 Å, 63.33°, I 33

~~~~~

[1]
SrCoC: calculated powder XRD pattern (λ = 1.5418 Å (Cu Kα)), based on DFT lattice parameters and positions (PBE).
Peak positions follow from Bragg's law for the DFT cell and can differ from measured ones.

The 10 most intense peaks (10° ≤ 2θ ≤ 90°), most intense first:
2θ/deg  I/Imax  index
33.39  100  1 1 1
34.94  62  2 1 -1
33.19  48  1 2 -1
27.83  31  1 0 -2
45.18  27  1 1 -3
28.24  24  0 2 0
40.06  23  1 2 -2
34.56  19  2 0 -2
35.51  19  0 1 2
33.87  16  1 2 0

Structural model:
Cell: 5.641 6.320 6.426 Å, 90.00 120.85 90.00°
Space group P2_1/c (No. 14)
Asymmetric unit:
........

[1]
Simulated powder diffractogram of CeH4 for copper Kα, from a PBE-relaxed structure.

Structural model:
abc: 3.7425 3.7425 3.7425
angles: 104.97 104.97 118.90
Element x y z (fractional)
Ce 0.0000 0.0000 0.0000
H 0.2087 0.4883 0.6970
H 0.4883 0.7913 0.2796
H 0.5117 0.2087 0.7204
H 0.7913 0.5117 0.3030

Principal peaks in the range 2θ = 10–90°, by angle:
- d = 3.223 Å, 27.68°, I 66
- d = 2.921 Å, 30.61°, I 100
- d = 2.279 Å, 39.54°, I 26
- d = 1.902 Å, 47.82°, I 8
- d = 1.797 Å, 50.82°, I 52
- d = 1.638 Å, 56.15°, I 18
- d = 1.612 Å, 57.16°, I 8
- d = 1.460 Å, 63.73°, I 13
- d = 1.441 Å, 64.67°, I 12
- d = 1.411 Å, 66.24°, I 11
- d = 1.200 Å, 79.97°, I 13
- d = 1.149 Å, 84.30°, I 12

[2]
Simulated powder diffractogram of K2NaO8 for copper Kα, from a PBE-relaxed structure.

Structural model:
abc: 4.7117 5.1942 8.2766
angles: 71.78 74.79 87.00
Element x y z (fractional)
K 0.1555 0.1391 0.2212
K 0.8445 0.8609 0.7788
Na 0.5000 0.5000 0.5000
O 0.0434 0.5584 0.4128
O 0.3207 0.4662 0.8697
O 0.3458 0.2366 0.8332
O 0.3751 0.9284 0.5209
O 0.6249 0.0716 0.4791
O 0.6542 0.7634 0.1668
O 0.6793 0.5338 0.1303
O 0.9566 0.4416 0.5872

Principal peaks in the range 2θ = 10–90°, by angle:
- d = 7.593 Å, 11.65°, I 52
- d = 3.576 Å, 24.90°, I 86
- d = 3.397 Å, 26.23°, I 51
- d = 3.124 Å, 28.57°, I 43
- d = 2.659 Å, 33.70°, I 32
- d = 2.601 Å, 34.48°, I 40
- d = 2.593 Å, 34.59°, I 85
- d = 2.554 Å, 35.14°, I 59
- d = 2.531 Å, 35.47°, I 70
- d = 2.505 Å, 35.84°, I 92
- d = 2.351 Å, 38.29°, I 100
- d = 2.039 Å, 44.43°, I 34

[3]
Simulated powder diffractogram of BaScOsO6 for copper Kα, from a PBE-relaxed structure.

Structural model:
abc: 5.3985 5.3985 5.7310
angles: 90.00 90.00 120.00
Element x y z (fractional)
Ba 0.0000 0.0000 0.0000
Sc 0.3333 0.6667 0.5000
Os 0.6667 0.3333 0.5000
O 0.3961 0.0273 0.6909
O 0.3961 0.3688 0.3091
O 0.6312 0.0273 0.3091
O 0.6312 0.6039 0.6909
O 0.9727 0.3688 0.6909
O 0.9727 0.6039 0.3091

Principal peaks in the range 2θ = 10–90°, by angle:
- d = 5.731 Å, 15.46°, I 12
- d = 4.675 Å, 18.98°, I 20
- d = 3.623 Å, 24.57°, I 100
- d = 2.699 Å, 33.19°, I 29
- d = 2.443 Å, 36.80°, I 11
- d = 2.164 Å, 41.73°, I 21
- d = 1.965 Å, 46.20°, I 36
- d = 1.768 Å, 51.70°, I 14
- d = 1.689 Å, 54.33°, I 22
- d = 1.559 Å, 59.29°, I 11
- d = 1.297 Å, 72.93°, I 11
- d = 1.265 Å, 75.09°, I 16

[4]
Simulated powder diffractogram of KMg7Tl12 for copper Kα, from a PBE-relaxed structure.

Structural model:
abc: 9.5177 9.5177 9.5177
angles: 109.47 109.47 109.47
Element x y z (fractional)
K 0.0000 0.0000 0.0000
Mg 0.0000 0.0000 0.5000
Mg 0.0000 0.5000 0.0000
Mg 0.0000 0.5000 0.5000
Mg 0.5000 0.0000 0.0000
Mg 0.5000 0.0000 0.5000
Mg 0.5000 0.5000 0.0000
Mg 0.5000 0.5000 0.5000
Tl 0.1086 0.7631 0.3456
Tl 0.2369 0.3456 0.5825
Tl 0.2369 0.6544 0.8914
Tl 0.3456 0.1086 0.7631
Tl 0.3456 0.5825 0.2369
Tl 0.4175 0.7631 0.6544
Tl 0.5825 0.2369 0.3456
Tl 0.6544 0.4175 0.7631
Tl 0.6544 0.8914 0.2369
Tl 0.7631 0.3456 0.1086
Tl 0.7631 0.6544 0.4175
Tl 0.8914 0.2369 0.6544

Principal peaks in the range 2θ = 10–90°, by angle:
- d = 7.771 Å, 11.39°, I 68
- d = 4.487 Å, 19.79°, I 39
- d = 3.886 Å, 22.89°, I 27
- d = 3.475 Å, 25.63°, I 82
- d = 2.937 Å, 30.43°, I 68
- d = 2.457 Å, 36.57°, I 100
- d = 2.343 Å, 38.42°, I 35
- d = 2.243 Å, 40.20°, I 27
- d = 2.155 Å, 41.92°, I 26
- d = 1.885 Å, 48.29°, I 28
- d = 1.524 Å, 60.77°, I 27
- d = 1.469 Å, 63.33°, I 33

~~~~~

[1]
SrCoC: calculated powder XRD pattern (λ = 1.5418 Å (Cu Kα)), based on DFT lattice parameters and positions (PBE).
Peak positions follow from Bragg's law for the DFT cell and can differ from measured ones.

The 10 most intense peaks (10° ≤ 2θ ≤ 90°), most intense first:
2θ/deg  I/Imax  index
33.39  100  1 1 1
34.94  62  2 1 -1
33.19  48  1 2 -1
27.83  31  1 0 -2
45.18  27  1 1 -3
28.24  24  0 2 0
40.06  23  1 2 -2
34.56  19  2 0 -2
35.51  19  0 1 2
33.87  16  1 2 0

Structural model:
Cell: 5.641 6.320 6.426 Å, 90.00 120.85 90.00°
Space group P2_1/c (No. 14)
Asymmetric unit: